
Jacob Bernstein
Vice-Chair and Professor
Contact Information
- jberns15@jhu.edu
- Krieger 408
- 410-516-6089
Research Interests: Geometric analysis
Education: PhD, Massachusetts Institute of Technology

Emily Braley
Assistant Dean for Undergraduate Academic Affairs
Associate Teaching Professor
Contact Information
- ebraley1@jhu.edu
- Krieger 407
Research Interests: Mathematics education, professional development for teaching
Education: PhD, University of North Carolina

Richard Brown
Director of Undergraduate Studies
Teaching Professor
Contact Information
- richardbrown@jhu.edu
- Krieger 403
- Group/Lab Website
Research Interests: Dynamical systems, low dimensional topology
Education: PhD, University of Maryland

Caterina Consani
Contact Information
- cconsan1@jhu.edu
- Krieger 410B
Research Interests: Arithmetic geometry, number theory, non-commutative geometry
Education: PhD, University of Chicago

Joseph Cutrone
Director of Online Programs
Associate Teaching Professor
Contact Information
- jcutron2@jhu.edu
- Krieger 301
Research Interests: Algebraic geometry
Education: PhD, Johns Hopkins University; MBA, Johns Hopkins University

Benjamin Dodson
Contact Information
- bdodson4@jhu.edu
- Krieger 214
Research Interests: Partial differential equations, harmonic analysis
Education: PhD, University of North Carolina

David Gepner
Contact Information
- gepner@jhu.edu
- Krieger 410
Research Interests: Algebraic topology, algebraic K-theory, higher category theory
Education: PhD, University of Illinois at Urbana-Champaign

Rok Gregoric
J.J. Sylvester Assistant Professor
Contact Information
- rgrego12@jhu.edu
- Krieger 311
Research Interests: Homotopy theory and algebraic geometry
Education: PhD, University of Texas at Austin

Mee Seong Im
Associate Research Professor
Contact Information
- meeseong@jhu.edu
- Krieger 419
Research Interests: Geometric and topological aspects of (Grothendieck-)Springer fibers, topological quantum field theories, representations of Lie superalgebras
Education: PhD, University of Illinois at Urbana-Champaign

Mikhail Khovanov
Contact Information
- khovanov@jhu.edu
- Krieger 421
Research Interests: Categorification, representation theory, low-dimensional topology
Education: PhD, Yale University

Nitu Kitchloo
Contact Information
- nitu@jhu.edu
- Krieger 408A
Research Interests: Symplectic geometry, topology of Kac-Moody groups, classical algebraic topology
Education: PhD, Massachusetts Institute of Technology

Huajie Li
J.J. Sylvester Assistant Professor
Contact Information
- hli213@jhu.edu
- Krieger 222
Research Interests: Number theory, automorphic forms
Education: PhD, Université de Paris

Hans Lindblad
Contact Information
- hlindbl1@jhu.edu
- Krieger 406
Research Interests: Partial differential equations, nonlinear wave equations
Education: PhD, Lund Institute of Technology

Fei Lu
Associate Professor
Contact Information
- flu15@jhu.edu
- Krieger 218
Research Interests: Malliavin calculus, stochastic PDE, stochastic modeling in scientific computing, statistical inference, and data assimilation
Education: PhD, University of Kansas

Mauro Maggioni
Bloomberg Distinguished Professor
Contact Information
Education: PhD, Washington University in St. Louis

Kobe Marshall-Stevens
J.J. Sylvester Assistant Professor
Contact Information
- kmarsh34@jhu.edu
- Krieger 313
Research Interests: Geometric analysis
Education: PhD, University College London

Fanjun Meng
J.J. Sylvester Assistant Professor
Contact Information
- fmeng3@jhu.edu
- Krieger 219
Research Interests: Algebraic geometry
Education: PhD, Northwestern University

Chikako Mese
Contact Information
- cmese1@jhu.edu
- Krieger 314
Research Interests: Differential geometry, geometric analysis
Education: PhD, Stanford University

Chamsol Park
J.J. Sylvester Assistant Professor
Contact Information
- cspark@jhu.edu
- Krieger 313
Research Interests: Harmonic analysis, partial differential equations: Helmholtz and wave equations, microlocal analysis
Education: PhD, University of New Mexico

Daniel Restrepo
J.J. Sylvester Assistant Professor
Contact Information
- drestre1@jhu.edu
- Krieger 213
Research Interests: Calculus of variations and partial differential equations
Education: PhD, University of Texas at Austin

Emily Riehl
Kelly Miller Professor
Contact Information
- eriehl@jhu.edu
- Krieger 312
Research Interests: Category theory, homotopy theory
Education: PhD, University of Chicago

Yiannis Sakellaridis
Contact Information
- sakellar@jhu.edu
- Krieger 210
- 410-516-7403
Research Interests: Automorphic forms, number theory, representation theory
Education: PhD, Stanford University

David Savitt
Chair and Professor
Contact Information
- savitt@jhu.edu
- Krieger 212
Research Interests: Number theory
Education: PhD, Harvard University

Vyacheslav Shokurov
Contact Information
- shokurov@jhu.edu
- Krieger 410A
- 410-516-7410
Research Interests: Algebraic geometry
Education: PhD, Moscow State University

Alexander Shumakovitch
Senior Lecturer and IT Administrator
Contact Information
- shurik@jhu.edu
- Krieger 412
Research Interests: Low-dimensional topology, knot theory
Education: PhD, Uppsala University

Yannick Sire
Director of Graduate Studies
Contact Information
- ysire1@jhu.edu
- Krieger 208
Research Interests: Partial differential equations, harmonic and geometric analysis, dynamical systems
Education: PhD, Institut National des Sciences Appliquees de Toulouse (France)

Christopher Sogge
J.J. Sylvester Professor
Contact Information
- sogge@jhu.edu
- Krieger 414
Research Interests: Fourier analysis, partial differential equations
Education: PhD, Princeton University

Xiong Wang
J.J. Sylvester Assistant Professor
Contact Information
- xiong_wang@jhu.edu
- Krieger 311
Research Interests: Gaussian processes, stochastic partial differential equations and data-driven stochastic models
Education: PhD, University of Alberta

Yi Wang
Contact Information
- ywang261@jhu.edu
- Krieger 216
Research Interests: Geometric analysis, nonlinear partial differential equations
Education: PhD, Princeton University

Zhiren Wang
Contact Information
- zwang516@jhu.edu
- Krieger 220
Research Interests: Homogeneous dynamical systems, classification of group actions, number theory, and machine learning
Education: PhD, Princeton University

Yueqiao Wu
J.J. Sylvester Assistant Professor
Contact Information
- ywu347@jhu.edu
- Krieger 405
Research Interests: Non-Archimedean geometry and algebraic geometry
Education: PhD, University of Michigan

Yang Yang
J.J. Sylvester Assistant Professor
Contact Information
- yyang@jhu.edu
- Krieger 219
Research Interests: Partial differential equations and geometric analysis
Education: PhD, University of California, Irvine

Murilo Corato Zanarella
J.J. Sylvester Assistant Professor
Contact Information
- mzanare1@jhu.edu
- Krieger 222
Research Interests: Arithmetic aspects of the (relative) Langlands program, Euler systems and Iwasawa theory
Education: PhD, Massachusetts Institute of Technology

Zihui Zhao
Assistant Professor
Contact Information
- zhaozh@jhu.edu
- Krieger 303
Research Interests: Geometric measure theory, harmonic analysis, partial differential equations, and geometric analysis
Education: PhD, University of Washington

Ziquan Zhuang
Contact Information
- zzhuang@jhu.edu
- Krieger 408B
Research Interests: Algebraic geometry
Education: PhD, Princeton University
Associated Faculty

Gregory Eyink
Department of Applied Mathematics & Statistics
Contact Information
Research Interests: Mathematical physics, fluid mechanics, turbulence, dynamical systems, partial differential equations, non-equilibrium statistical physics, geophysics and climate, astrophysics, and plasma physics
Education: PhD, Ohio State University

Edinah Gnang
Assistant Professor
Department of Applied Mathematics & Statistics
Contact Information
Research Interests: Discrete mathematics, graph theory, multilinear algebra, image analysis, experimental math
Education: PhD, Rutgers University

Tim Kunisky
Assistant Professor
Department of Applied Mathematics & Statistics
Contact Information
Research Interests: Probability theory, statistics, mathematical data science, convex optimization, discrete mathematics, computational complexity
Education: PhD, Courant Institute of Mathematical Sciences
postdoctoral fellows

Timothy Campion
Postdoctoral Fellow
Contact Information
- tcampio1@jhu.edu
- Krieger 405
Research Interests: Category theory, higher category theory, and homotopy theory
Education: PhD, University of Notre Dame

Egbert Rijke
Postdoctoral Fellow
Contact Information
- erijke1@jhu.edu
- Krieger 213
Research Interests: Univalent mathematics and formalization of mathematics
Education: PhD, Carnegie Mellon University

Matthew Sunohara
NSERC Postdoctoral Fellow
Contact Information
- msunoha1@jhu.edu
- Krieger 222
Research Interests: Langlands program, topological graph theory
Education: PhD, University of Toronto

Prairie Wentworth-Nice
Postdoctoral Teaching Fellow
Contact Information
- pwentwo2@jhu.edu
- Krieger 405
Research Interests: Algebraic combinatorics
Education: PhD, Cornell University

Haihan Wu
Simons Collaboration Postdoctoral Fellow
Contact Information
- hwu125@jhu.edu
- Krieger 221
Research Interests: Representation theory, low-dimensional topology, and categorification
Education: PhD, University of California, Davis

Eric Frazier
Sr. Administrative Manager
Contact Information
- efrazie4@jhu.edu
- Krieger 400
- 410-516-8232

Catrish Griffin
Teaching and Training Specialist
Contact Information
- catrish.griffin@jhu.edu
- Krieger 402

Sabrina Raymond
Sr. Academic Program Coordinator
Contact Information
- sraymond@jhu.edu
- Krieger 402
- 410-516-4178

Jordan White
Sr. Administrative Coordinator
Contact Information
- jwhit134@jhu.edu
- Krieger 404
- 410-516-7397
professors emeriti

Misplaced molecular data:
-- begin --
[1]
31
Properties=species:S:1:pos:R:3:forces:R:3:nbo_charge:R:1 method="wB97M-V/def2-TZVPD" multiplicity=1 fmax_ev_per_a=2.3 lumo_ev=0.51 smiles="NC[C@](N)(CCCCB(O)O)C(=O)O" total_charge=0 gap_ev=10.13 e_tot_ev=-19384.7707 e_homo_ev=-9.626
O 2.2349 -1.1436 -0.8903 -0.217 -0.605 -0.201 -0.953
O -1.9507 -2.4343 1.4729 0.436 0.488 -0.155 -0.681
O 3.7537 0.4455 -1.8313 0.361 -0.438 -1.398 -0.894
O 0.1811 -1.9185 0.9214 -0.529 -0.929 0.309 -0.633
N -2.9851 0.0625 -1.7173 -0.866 0.835 -0.732 -0.846
N -2.4615 0.2496 1.1293 -0.356 0.088 -0.125 -0.825
C 1.7520 1.8531 0.8190 -0.348 0.067 -0.461 -0.381
C -1.5190 -0.3849 0.2216 -0.086 -0.300 0.102 0.010
C -2.2262 -0.9511 -1.0360 0.653 0.425 -0.634 -0.230
C -0.3598 0.5993 -0.1376 0.200 -0.945 0.284 -0.404
C 0.4705 1.0497 1.0835 -1.318 0.636 0.961 -0.413
C -1.0008 -1.6527 0.9185 0.928 0.876 -0.452 0.830
C 2.9349 0.9621 0.5078 1.664 -0.459 -1.160 -0.759
B 2.9520 0.0293 -0.8250 -1.098 0.009 1.979 1.116
H -3.1148 -0.4673 1.4347 -0.095 0.216 0.110 0.364
H -0.7492 1.4265 -0.7387 -0.140 0.184 0.405 0.202
H 3.7972 -0.1180 -2.6332 -0.200 0.342 0.865 0.494
H -0.2053 1.6514 1.7274 0.277 -0.100 -0.421 0.217
H -1.4997 -3.1622 1.9221 0.069 -0.119 -0.016 0.505
H 3.1543 0.2824 1.3273 -0.396 -0.219 0.446 0.214
H 0.6579 0.1729 1.7270 0.332 0.329 -0.440 0.211
H -1.4963 -1.3419 -1.7391 0.541 -0.576 0.213 0.177
H -3.4293 -0.2995 -2.5722 0.226 0.099 0.722 0.368
H -3.0042 0.8899 0.5512 -0.074 0.025 0.231 0.374
H 0.2972 0.0666 -0.8119 0.092 -0.170 -0.282 0.222
H 3.8843 1.5389 0.4618 -0.606 0.092 -0.127 0.224
H -2.3698 0.8003 -2.0371 0.025 0.057 -0.029 0.354
H 2.0181 2.4471 1.7025 -0.318 -0.047 -0.111 0.206
H 1.5774 2.5791 -0.0131 0.106 -0.445 0.534 0.196
H 1.6067 -1.4997 -0.1991 1.070 1.095 -0.648 0.538
H -2.9005 -1.7327 -0.7462 -0.335 -0.511 0.233 0.199

=====

[2]
14
Properties=species:S:1:pos:R:3:forces:R:3:nbo_charge:R:1 method="wB97M-V/def2-TZVPD" multiplicity=1 fmax_ev_per_a=0.6 lumo_ev=0.89 smiles="O=C1CN1.CC=O" total_charge=0 gap_ev=10.52 e_tot_ev=-9844.2795 e_homo_ev=-9.636
O -0.3944 -0.2235 -1.5392 0.366 0.436 -0.212 -0.584
O 0.3939 0.6540 1.2296 -0.219 -0.386 0.106 -0.576
N -1.2687 -0.8720 2.0765 0.175 0.076 0.075 -0.619
C 1.8935 0.3291 -1.1444 0.054 -0.033 -0.023 -0.716
C 0.4246 0.6231 -1.2487 -0.027 -0.160 -0.352 0.465
C -0.5126 -0.1420 1.2537 0.263 0.265 0.096 0.664
C -1.6899 -0.6886 0.5973 -0.273 -0.125 0.183 -0.292
H 0.1134 1.6746 -1.0966 0.054 -0.108 -0.102 0.117
H 2.3165 0.3748 -2.1539 0.025 0.015 0.081 0.231
H 2.0326 -0.6834 -0.7560 0.000 0.145 -0.096 0.233
H -1.5787 -0.4979 2.9686 -0.474 -0.039 -0.282 0.398
H -1.6947 -1.6296 0.0574 0.091 0.170 0.172 0.234
H -2.4397 0.0322 0.2583 0.046 -0.180 0.466 0.216
H 2.4042 1.0492 -0.5026 -0.082 -0.074 -0.111 0.230

=====

[3]
98
-- stop --

Jack Morava
Professor Emeritus
Contact Information
Research Interests: Algebraic topology, global analysis
Education: PhD, Rice University

Takashi Ono
Professor Emeritus
Contact Information
Research Interests: Algebra, number theory, algebraic groups
Education: PhD, Nagoya University

Bernard Shiffman
Professor Emeritus and Academy Professor
Contact Information
- bshiffman@jhu.edu
- Krieger 221
Research Interests: several complex variables, complex geometry
Education: PhD, University of California, Berkeley

Joel Spruck
J.J. Sylvester Professor Emeritus
Contact Information
Research Interests: Partial differential equations, geometric analysis
Education: PhD, Stanford University

W. Stephen Wilson
Professor Emeritus
Contact Information
Research Interests: Algebraic topology, homotopy theory
Education: PhD, Massachusetts Institute of Technology